**Request**
Copy the lines below up to the one that holds "-0.182 -2.937", that line included, please.

**Contents**
┌──
No. 1
C23H70N2O11 | the ωB97M-V functional and the def2-TZVPD basis

Structure (XYZ):
```
106
Properties=species:S:1:pos:R:3:forces:R:3
C -1.140 -5.733 5.212 0.66 0.50 0.28
O -1.191 -4.318 5.075 -0.01 -0.02 -0.35
C 0.104 -3.793 4.782 -0.28 -0.74 0.42
C 0.031 -2.284 4.612 -0.62 0.12 0.06
C -0.975 -1.867 3.561 0.08 0.23 -0.97
N 1.340 -1.676 4.307 0.06 -0.65 0.62
H -2.129 -6.176 5.290 -0.12 0.33 -0.14
H -0.587 -5.961 6.128 0.03 -0.25 0.04
H -0.588 -6.156 4.369 -0.14 -0.22 -0.08
H 0.789 -4.108 5.580 0.07 0.41 0.34
H 0.527 -4.316 3.915 -0.18 0.32 -0.51
H -0.369 -1.846 5.530 0.46 -0.10 0.31
H -2.024 -2.073 3.769 0.16 -0.32 0.34
H -0.723 -2.345 2.610 -0.09 0.02 -0.10
H -0.902 -0.790 3.394 0.06 0.03 0.03
H 1.950 -1.858 5.100 0.01 0.21 0.13
H 1.810 -2.183 3.557 -0.19 0.17 -0.33
C 0.201 2.379 -3.258 -0.32 -0.73 0.69
O 0.868 2.243 -4.494 -0.36 0.28 0.06
C 0.025 2.603 -5.578 0.63 0.01 -1.08
C 0.843 2.510 -6.880 1.00 -0.82 -0.95
C 1.956 3.546 -7.093 -0.23 0.12 1.23
N -0.017 2.404 -8.078 -0.63 0.45 1.04
H -0.115 3.402 -3.043 -0.01 0.12 -0.16
H 0.799 2.019 -2.418 0.76 0.33 -0.36
H -0.656 1.706 -3.150 -0.42 0.24 -0.57
H -0.823 1.926 -5.703 -0.07 -0.14 0.28
H -0.367 3.621 -5.484 -0.02 0.15 0.31
H 1.395 1.566 -6.837 -0.29 -0.24 0.21
H 2.380 3.489 -8.093 -0.11 -0.02 -0.05
H 2.751 3.342 -6.371 0.09 0.15 -0.03
H 1.594 4.555 -6.882 0.02 0.12 -0.25
H -0.426 3.326 -8.194 -0.20 -0.06 -0.39
H 0.532 2.217 -8.904 0.16 0.03 0.04
C 1.144 -1.412 -3.138 -0.50 -0.48 -0.19
C 0.828 -2.909 -3.372 -0.77 0.93 0.02
C 1.711 -3.579 -4.359 1.21 -0.83 -0.33
O 0.829 -3.631 -2.157 0.14 -0.15 -0.01
H 2.156 -1.210 -2.787 0.05 -0.18 0.00
H 0.427 -1.052 -2.397 0.15 0.14 0.16
H 0.950 -0.830 -4.041 0.18 -0.02 -0.08
H -0.182 -2.937 -3.803 -0.18 0.03 0.09
H 1.654 -3.126 -5.348 0.09 0.22 0.11
H 1.503 -4.642 -4.494 -0.50 0.06 0.14
H 2.746 -3.592 -4.005 0.09 0.38 -0.11
H 0.074 -3.338 -1.626 0.26 -0.18 0.17
C -4.587 1.186 2.263 1.25 -0.58 0.83
C -5.591 0.044 2.119 -0.39 0.72 0.11
C -5.091 -1.303 2.659 0.35 0.42 -0.69
O -6.810 0.403 2.790 0.06 -0.14 -0.05
H -3.817 1.182 1.490 -0.28 0.08 -0.29
H -3.989 0.999 3.164 -0.07 0.08 0.21
H -5.002 2.182 2.402 -0.39 -0.12 -0.43
H -5.860 0.024 1.062 -0.18 -0.49 0.04
H -5.921 -1.995 2.781 -0.01 0.06 0.13
H -4.545 -1.143 3.590 -0.26 -0.09 0.20
H -4.372 -1.766 1.978 0.02 0.06 -0.10
H -6.588 0.559 3.715 -0.05 0.01 0.04
C 3.691 1.704 -0.024 0.98 0.77 0.04
C 4.443 2.849 -0.742 0.21 -0.33 -0.52
C 5.888 2.407 -1.098 -0.76 0.68 0.59
O 3.822 3.141 -1.976 -0.40 -0.46 -1.35
H 3.573 0.848 -0.688 -0.33 0.23 -0.26
H 2.752 2.081 0.376 -0.12 -0.35 0.00
H 4.341 1.335 0.772 -0.23 0.14 0.30
H 4.374 3.817 -0.237 0.59 -0.43 0.94
H 6.408 3.198 -1.636 -0.06 -0.02 -0.07
H 5.816 1.527 -1.735 0.11 -0.06 0.05
H 6.448 2.196 -0.186 0.04 -0.20 -0.06
H 3.276 3.928 -1.956 -0.03 0.01 0.27
C -0.167 0.399 0.490 1.02 0.41 0.57
O -1.393 1.070 0.753 0.04 -0.40 -0.67
H 0.204 0.525 -0.529 -0.70 -0.07 -0.33
H 0.636 0.859 1.072 -0.09 -0.13 0.27
H -0.189 -0.659 0.755 -0.25 -0.01 -0.13
H -1.325 1.479 1.621 -0.07 0.25 0.37
C -2.047 -2.232 -1.051 -0.67 0.72 0.16
O -1.087 -2.886 -0.233 0.01 0.15 -0.03
H -2.555 -1.436 -0.497 -0.25 -0.24 0.21
H -1.594 -1.664 -1.862 0.38 -0.57 -0.16
H -2.760 -2.974 -1.411 -0.10 0.28 -0.31
H -1.613 -3.336 0.434 0.28 -0.18 0.15
C -3.258 2.878 -1.422 0.20 0.69 -0.45
O -2.871 1.541 -1.645 -0.49 -0.12 0.12
H -2.365 3.510 -1.426 -0.05 0.22 0.25
H -3.888 3.251 -2.232 0.06 -0.40 -0.25
H -3.847 3.074 -0.522 0.20 -0.37 0.29
H -2.415 1.265 -0.837 0.11 -0.03 0.13
C 1.833 -2.790 0.816 -0.82 -0.52 -0.36
O 2.826 -2.599 1.800 0.35 -0.01 0.12
H 2.028 -3.613 0.123 0.42 0.16 -0.04
H 0.915 -3.103 1.315 0.07 0.30 0.18
H 1.616 -1.888 0.241 0.09 0.01 0.03
H 3.656 -2.417 1.352 0.04 0.01 0.09
C 2.690 1.483 3.606 -0.11 -0.22 0.07
O 1.373 0.983 3.520 -0.24 0.68 -0.17
H 3.135 1.204 4.564 0.19 0.17 0.00
H 3.321 1.119 2.793 0.04 -0.12 0.03
H 2.643 2.569 3.517 0.07 0.02 0.13
H 1.320 0.072 3.876 0.16 -0.29 -0.07
C -1.648 3.108 4.441 0.09 0.29 -1.33
O -0.994 2.456 3.341 0.02 -0.15 0.53
└──

**Response**
No. 1
C23H70N2O11 | the ωB97M-V functional and the def2-TZVPD basis

Structure (XYZ):
```
106
Properties=species:S:1:pos:R:3:forces:R:3
C -1.140 -5.733 5.212 0.66 0.50 0.28
O -1.191 -4.318 5.075 -0.01 -0.02 -0.35
C 0.104 -3.793 4.782 -0.28 -0.74 0.42
C 0.031 -2.284 4.612 -0.62 0.12 0.06
C -0.975 -1.867 3.561 0.08 0.23 -0.97
N 1.340 -1.676 4.307 0.06 -0.65 0.62
H -2.129 -6.176 5.290 -0.12 0.33 -0.14
H -0.587 -5.961 6.128 0.03 -0.25 0.04
H -0.588 -6.156 4.369 -0.14 -0.22 -0.08
H 0.789 -4.108 5.580 0.07 0.41 0.34
H 0.527 -4.316 3.915 -0.18 0.32 -0.51
H -0.369 -1.846 5.530 0.46 -0.10 0.31
H -2.024 -2.073 3.769 0.16 -0.32 0.34
H -0.723 -2.345 2.610 -0.09 0.02 -0.10
H -0.902 -0.790 3.394 0.06 0.03 0.03
H 1.950 -1.858 5.100 0.01 0.21 0.13
H 1.810 -2.183 3.557 -0.19 0.17 -0.33
C 0.201 2.379 -3.258 -0.32 -0.73 0.69
O 0.868 2.243 -4.494 -0.36 0.28 0.06
C 0.025 2.603 -5.578 0.63 0.01 -1.08
C 0.843 2.510 -6.880 1.00 -0.82 -0.95
C 1.956 3.546 -7.093 -0.23 0.12 1.23
N -0.017 2.404 -8.078 -0.63 0.45 1.04
H -0.115 3.402 -3.043 -0.01 0.12 -0.16
H 0.799 2.019 -2.418 0.76 0.33 -0.36
H -0.656 1.706 -3.150 -0.42 0.24 -0.57
H -0.823 1.926 -5.703 -0.07 -0.14 0.28
H -0.367 3.621 -5.484 -0.02 0.15 0.31
H 1.395 1.566 -6.837 -0.29 -0.24 0.21
H 2.380 3.489 -8.093 -0.11 -0.02 -0.05
H 2.751 3.342 -6.371 0.09 0.15 -0.03
H 1.594 4.555 -6.882 0.02 0.12 -0.25
H -0.426 3.326 -8.194 -0.20 -0.06 -0.39
H 0.532 2.217 -8.904 0.16 0.03 0.04
C 1.144 -1.412 -3.138 -0.50 -0.48 -0.19
C 0.828 -2.909 -3.372 -0.77 0.93 0.02
C 1.711 -3.579 -4.359 1.21 -0.83 -0.33
O 0.829 -3.631 -2.157 0.14 -0.15 -0.01
H 2.156 -1.210 -2.787 0.05 -0.18 0.00
H 0.427 -1.052 -2.397 0.15 0.14 0.16
H 0.950 -0.830 -4.041 0.18 -0.02 -0.08
H -0.182 -2.937 -3.803 -0.18 0.03 0.09